• File:
┌──
# 1
The following is a calculated powder diffractogram of Nd4Tl5Hg. It was derived from DFT lattice parameters and positions (GGA-PBE), using copper Kα.
No peak broadening, texture or thermal motion is included.

Most intense lines, 15° ≤ 2θ ≤ 90°, by intensity:
d_spacing, 2theta, intensity
2.524, 35.6, 100
2.957, 30.2, 100
2.748, 32.6, 95
3.159, 28.2, 87
2.421, 37.1, 71
3.635, 24.5, 66
2.817, 31.8, 66
1.464, 63.6, 50
2.163, 41.8, 44
2.612, 34.3, 41

Crystal structure
```
Nd4Tl5Hg
1.0
8.396 0.000 0.000
0.000 10.525 0.000
0.000 0.000 7.268
Nd Tl Hg
8 10 2
Direct
0.014 0.250 0.211
0.250 0.553 0.448
0.250 0.947 0.448
0.486 0.250 0.211
0.514 0.750 0.789
0.750 0.053 0.552
0.750 0.447 0.552
0.986 0.750 0.789
0.066 0.062 0.819
0.066 0.438 0.819
0.250 0.750 0.091
0.434 0.062 0.819
0.434 0.438 0.819
0.566 0.562 0.181
0.566 0.938 0.181
0.750 0.250 0.909
0.934 0.562 0.181
0.934 0.938 0.181
0.250 0.250 0.546
0.750 0.750 0.454
```

=====

# 2
The following is a calculated powder diffractogram of NdTl3Hg12. It was derived from DFT lattice parameters and positions (GGA-PBE), using copper Kα.
No peak broadening, texture or thermal motion is included.

Most intense lines, 15° ≤ 2θ ≤ 90°, by intensity:
d_spacing, 2theta, intensity
2.784, 32.2, 100
2.335, 38.6, 32
1.420, 65.8, 26
1.733, 52.8, 23
2.586, 34.7, 20
1.528, 60.6, 13
1.392, 67.3, 12
1.651, 55.7, 11
1.122, 86.8, 10
1.131, 85.9, 4

Crystal structure
```
NdTl3Hg12
1.0
4.671 0.000 0.000
0.000 4.671 0.000
0.000 0.000 20.689
Nd Tl Hg
1 3 12
Direct
0.000 0.000 0.000
0.000 0.000 0.241
0.000 0.000 0.500
0.000 0.000 0.759
0.000 0.500 0.116
0.000 0.500 0.369
0.000 0.500 0.631
0.000 0.500 0.884
0.500 0.000 0.116
0.500 0.000 0.369
0.500 0.000 0.631
0.500 0.000 0.884
0.500 0.500 0.000
0.500 0.500 0.242
0.500 0.500 0.500
0.500 0.500 0.758
```

=====

# 3
The following is a calculated powder diffractogram of Nd2TmHg4. It was derived from DFT lattice parameters and positions (GGA-PBE), using copper Kα.
No peak broadening, texture or thermal motion is included.

Most intense lines, 15° ≤ 2θ ≤ 90°, by intensity:
d_spacing, 2theta, intensity
2.687, 33.3, 100
2.567, 35.0, 92
1.504, 61.7, 35
1.856, 49.1, 34
1.577, 58.5, 18
1.482, 62.7, 17
3.712, 24.0, 17
1.158, 83.5, 15
1.190, 80.7, 14
1.284, 73.8, 11

Crystal structure
```
Nd2TmHg4
1.0
2.567 1.482 8.994
-2.567 1.482 8.994
0.000 -2.964 8.994
Nd Tm Hg
2 1 4
Direct
0.244 0.244 0.244
0.756 0.756 0.756
0.000 0.000 0.000
0.127 0.127 0.127
0.370 0.370 0.370
0.630 0.630 0.630
0.873 0.873 0.873
```

=====

# 4
The following is a calculated powder diffractogram of Nd9Tm4Hg11. It was derived from DFT lattice parameters and positions (GGA-PBE), using copper Kα.
No peak broadening, texture or thermal motion is included.

Most intense lines, 15° ≤ 2θ ≤ 90°, by intensity:
d_spacing, 2theta, intensity
2.783, 32.2, 100
2.649, 33.8, 87
2.629, 34.1, 83
1.499, 61.9, 35
1.572, 58.7, 23
1.584, 58.3, 22
1.779, 51.4, 18
2.839, 31.5, 15
2.497, 36.0, 15
1.984, 45.7, 14

Crystal structure
```
Nd9Tm4Hg11
1.0
7.937 -11.708 0.000
7.937 11.708 0.000
0.000 0.000 3.558
Nd Tm Hg
9 4 11
Direct
0.000 0.000 0.000
0.133 0.642 0.000
0.292 0.452 0.000
0.358 0.867 0.000
0.452 0.292 0.000
0.548 0.708 0.000
0.642 0.133 0.000
0.708 0.548 0.000
0.867 0.358 0.000
0.053 0.247 0.000
0.247 0.053 0.000
0.753 0.947 0.000
0.947 0.753 0.000
0.083 0.437 0.500
0.138 0.862 0.500
0.219 0.219 0.500
0.338 0.662 0.500
0.437 0.083 0.500
0.500 0.500 0.500
0.563 0.917 0.500
0.662 0.338 0.500
0.781 0.781 0.500
0.862 0.138 0.500
0.917 0.563 0.500
```

~~~~~

# AsSXeNF10
Computed powder XRD pattern, a wavelength of 1.5418 Å. Input: DFT lattice parameters and positions (GGA-PBE).
Neutral-atom scattering factors, no anomalous dispersion.

Structural model:
Lattice parameters (Å, degrees): 26.797 5.275 15.368 90.00 119.75 90.00
Space group C2/c (No. 15)
Symmetry-distinct sites (fractional):
As 0.098 0.082 0.475
S 0.196 0.417 0.821
Xe 0.058 0.472 0.682
N 0.137 0.274 0.785
F 0.046 0.338 0.444
F 0.049 0.075 0.863
└──

• Activity:
Now reproduce all of the listing earlier on unchanged.

• Solution:
# 1
The following is a calculated powder diffractogram of Nd4Tl5Hg. It was derived from DFT lattice parameters and positions (GGA-PBE), using copper Kα.
No peak broadening, texture or thermal motion is included.

Most intense lines, 15° ≤ 2θ ≤ 90°, by intensity:
d_spacing, 2theta, intensity
2.524, 35.6, 100
2.957, 30.2, 100
2.748, 32.6, 95
3.159, 28.2, 87
2.421, 37.1, 71
3.635, 24.5, 66
2.817, 31.8, 66
1.464, 63.6, 50
2.163, 41.8, 44
2.612, 34.3, 41

Crystal structure
```
Nd4Tl5Hg
1.0
8.396 0.000 0.000
0.000 10.525 0.000
0.000 0.000 7.268
Nd Tl Hg
8 10 2
Direct
0.014 0.250 0.211
0.250 0.553 0.448
0.250 0.947 0.448
0.486 0.250 0.211
0.514 0.750 0.789
0.750 0.053 0.552
0.750 0.447 0.552
0.986 0.750 0.789
0.066 0.062 0.819
0.066 0.438 0.819
0.250 0.750 0.091
0.434 0.062 0.819
0.434 0.438 0.819
0.566 0.562 0.181
0.566 0.938 0.181
0.750 0.250 0.909
0.934 0.562 0.181
0.934 0.938 0.181
0.250 0.250 0.546
0.750 0.750 0.454
```

=====

# 2
The following is a calculated powder diffractogram of NdTl3Hg12. It was derived from DFT lattice parameters and positions (GGA-PBE), using copper Kα.
No peak broadening, texture or thermal motion is included.

Most intense lines, 15° ≤ 2θ ≤ 90°, by intensity:
d_spacing, 2theta, intensity
2.784, 32.2, 100
2.335, 38.6, 32
1.420, 65.8, 26
1.733, 52.8, 23
2.586, 34.7, 20
1.528, 60.6, 13
1.392, 67.3, 12
1.651, 55.7, 11
1.122, 86.8, 10
1.131, 85.9, 4

Crystal structure
```
NdTl3Hg12
1.0
4.671 0.000 0.000
0.000 4.671 0.000
0.000 0.000 20.689
Nd Tl Hg
1 3 12
Direct
0.000 0.000 0.000
0.000 0.000 0.241
0.000 0.000 0.500
0.000 0.000 0.759
0.000 0.500 0.116
0.000 0.500 0.369
0.000 0.500 0.631
0.000 0.500 0.884
0.500 0.000 0.116
0.500 0.000 0.369
0.500 0.000 0.631
0.500 0.000 0.884
0.500 0.500 0.000
0.500 0.500 0.242
0.500 0.500 0.500
0.500 0.500 0.758
```

=====

# 3
The following is a calculated powder diffractogram of Nd2TmHg4. It was derived from DFT lattice parameters and positions (GGA-PBE), using copper Kα.
No peak broadening, texture or thermal motion is included.

Most intense lines, 15° ≤ 2θ ≤ 90°, by intensity:
d_spacing, 2theta, intensity
2.687, 33.3, 100
2.567, 35.0, 92
1.504, 61.7, 35
1.856, 49.1, 34
1.577, 58.5, 18
1.482, 62.7, 17
3.712, 24.0, 17
1.158, 83.5, 15
1.190, 80.7, 14
1.284, 73.8, 11

Crystal structure
```
Nd2TmHg4
1.0
2.567 1.482 8.994
-2.567 1.482 8.994
0.000 -2.964 8.994
Nd Tm Hg
2 1 4
Direct
0.244 0.244 0.244
0.756 0.756 0.756
0.000 0.000 0.000
0.127 0.127 0.127
0.370 0.370 0.370
0.630 0.630 0.630
0.873 0.873 0.873
```

=====

# 4
The following is a calculated powder diffractogram of Nd9Tm4Hg11. It was derived from DFT lattice parameters and positions (GGA-PBE), using copper Kα.
No peak broadening, texture or thermal motion is included.

Most intense lines, 15° ≤ 2θ ≤ 90°, by intensity:
d_spacing, 2theta, intensity
2.783, 32.2, 100
2.649, 33.8, 87
2.629, 34.1, 83
1.499, 61.9, 35
1.572, 58.7, 23
1.584, 58.3, 22
1.779, 51.4, 18
2.839, 31.5, 15
2.497, 36.0, 15
1.984, 45.7, 14

Crystal structure
```
Nd9Tm4Hg11
1.0
7.937 -11.708 0.000
7.937 11.708 0.000
0.000 0.000 3.558
Nd Tm Hg
9 4 11
Direct
0.000 0.000 0.000
0.133 0.642 0.000
0.292 0.452 0.000
0.358 0.867 0.000
0.452 0.292 0.000
0.548 0.708 0.000
0.642 0.133 0.000
0.708 0.548 0.000
0.867 0.358 0.000
0.053 0.247 0.000
0.247 0.053 0.000
0.753 0.947 0.000
0.947 0.753 0.000
0.083 0.437 0.500
0.138 0.862 0.500
0.219 0.219 0.500
0.338 0.662 0.500
0.437 0.083 0.500
0.500 0.500 0.500
0.563 0.917 0.500
0.662 0.338 0.500
0.781 0.781 0.500
0.862 0.138 0.500
0.917 0.563 0.500
```

~~~~~

# AsSXeNF10
Computed powder XRD pattern, a wavelength of 1.5418 Å. Input: DFT lattice parameters and positions (GGA-PBE).
Neutral-atom scattering factors, no anomalous dispersion.

Structural model:
Lattice parameters (Å, degrees): 26.797 5.275 15.368 90.00 119.75 90.00
Space group C2/c (No. 15)
Symmetry-distinct sites (fractional):
As 0.098 0.082 0.475
S 0.196 0.417 0.821
Xe 0.058 0.472 0.682
N 0.137 0.274 0.785
F 0.046 0.338 0.444
F 0.049 0.075 0.863